It is my job to consider everything that could go wrong, and I am very good at my job. #pessimism
Listening to an amazing interview with Rebecca Solnit about #hope despite the #wildfires and #ClimateCrisis on this week's episode of What on Earth #podcast. Love that she reached out to #LauraLynch herself to inject this conversation topic into the #climate space, because it is SO needed.
Esp like the talk about hope vs #doomerism vs #optimism #pessimism and #cynicism. As theorist Mary Manjikian reminds us, #dread is a luxury emotion...
#hope #wildfires #climatecrisis #podcast #lauralynch #climate #doomerism #optimism #pessimism #cynicism #dread
Don't take chances with a bad mood. #webcomics #comicstrips #grumpy #introverts #pessimism #talkingintrees #rabbits #squirrel
#webcomics #comicstrips #grumpy #introverts #pessimism #talkingintrees #rabbits #squirrel
@Njord I don't think we'll be able to be truly carbon neutral or even carbon negative in 10, 20 or even 50 years.
I think the hammer will probably end up swinging more towards nationalism, fascism and authoritarianism in the next 10 years and that will have long-lasting effects.
Thus, much worse.
You ever just need someone to just complain with? #webcomic #comicstrip #friendship #futility #pessimism #squirrel #fox
#webcomic #comicstrip #friendship #futility #pessimism #squirrel #fox
Life Sucks, Then You Die | ARTHUR SCHOPENHAUER - Einzelganger
Between two parts of the text: crystal structures >
-- begin --
1.
Calculated powder XRD pattern
Compound: LiScGa3
Radiation: Cu Kα (λ = 1.5418 Å)
Structure: a cell relaxed with PBE
Kinematic intensities with the Lorentz-polarization factor, no thermal factor.

Principal peaks in the range 10° ≤ 2θ ≤ 80°, by angle:
hkl	two_theta	I_rel
0 6 0	20.3	33
0 4 1	24.7	37
1 1 0	27.5	89
1 3 1	36.0	87
1 7 0	36.5	34
0 10 1	40.2	100
0 0 2	41.9	50
1 9 1	46.8	54
1 1 2	50.9	32
2 10 1	71.5	34

Structure:
```
data_LiScGa3
_space_group_name_H-M_alt 'C m c m'
_space_group_IT_number 63
_space_group_name_Hall '-C 2c 2'
_cell_length_a 3.264
_cell_length_b 26.254
_cell_length_c 4.312
_cell_angle_alpha 90.00
_cell_angle_beta 90.00
_cell_angle_gamma 90.00
loop_
_atom_site_label
_atom_site_type_symbol
_atom_site_fract_x
_atom_site_fract_y
_atom_site_fract_z
Li1 Li 0.000 0.077 0.250
Sc1 Sc 0.000 0.213 0.750
Ga1 Ga 0.000 0.323 0.750
Ga2 Ga 0.000 0.380 0.250
Ga3 Ga 0.000 0.476 0.250
```

2.
Calculated powder XRD pattern
Compound: LiScGaSn
Radiation: Cu Kα (λ = 1.5418 Å)
Structure: a cell relaxed with PBE
Kinematic intensities with the Lorentz-polarization factor, no thermal factor.

Principal peaks in the range 10° ≤ 2θ ≤ 80°, by angle:
hkl	two_theta	I_rel
0 1 0	20.9	13
1 0 0	21.4	33
0 1 1	29.4	31
1 1 1	36.7	100
0 0 2	41.7	17
0 2 0	42.5	16
2 0 0	43.6	15
2 1 1	53.5	12
1 1 3	72.8	13
1 3 1	74.0	13

Structure:
```
data_LiScGaSn
_space_group_name_H-M_alt 'P m m m'
_space_group_IT_number 47
_cell_length_a 4.153
_cell_length_b 4.252
_cell_length_c 4.332
_cell_angle_alpha 90.00
_cell_angle_beta 90.00
_cell_angle_gamma 90.00
loop_
_space_group_symop_operation_xyz
'x,y,z'
'-x,-y,-z'
'-x,-y,z'
'x,y,-z'
'x,-y,-z'
'-x,y,z'
'-x,y,-z'
'x,-y,z'
loop_
_atom_site_label
_atom_site_type_symbol
_atom_site_fract_x
_atom_site_fract_y
_atom_site_fract_z
Li1 Li 0.000 0.000 0.000
Sc1 Sc 0.000 0.500 0.500
Ga1 Ga 0.500 0.000 0.500
Sn1 Sn 0.500 0.500 0.000
```

3.
Calculated powder XRD pattern
Compound: LiGaSe
Radiation: Cu Kα (λ = 1.5418 Å)
Structure: a cell relaxed with PBE
Kinematic intensities with the Lorentz-polarization factor, no thermal factor.

Principal peaks in the range 10° ≤ 2θ ≤ 80°, by angle:
hkl	two_theta	I_rel
0 2 0	14.0	48
0 2 1	24.2	64
1 1 1	29.4	79
1 3 0	29.5	100
1 3 1	35.7	34
0 2 2	42.5	22
1 1 2	45.8	39
1 5 1	46.1	35
2 2 1	48.6	36
0 4 2	49.6	29

Structure:
```
data_LiGaSe
_space_group_name_H-M_alt 'C 2 2 21'
_space_group_IT_number 20
_cell_length_a 4.353
_cell_length_b 12.649
_cell_length_c 4.516
_cell_angle_alpha 90.00
_cell_angle_beta 90.00
_cell_angle_gamma 90.00
loop_
-- stop --
So much for the crystal structures >
From the description:
"The amount of suffering in the world is vast, so observed Schopenhauer. Life is a constant striving, a relentless pursuit of desires and needs that keep appearing. So it’s no surprise that people label this philosopher ‘pessimistic’ and ‘dark.’ But his observations aren’t unfounded."
#einzelganger #schopenhauer #philosophy #pessimism
"Hope begins with the ability to imagine alternatives. And there is always an alternative."
#Hope #Imagination #HumanRights #Politics #Literature #Polycrisis #ClimateEmergency #Inequality #InfrastructureNeglect #Authoritarianism #ZoonoticPlague #COVID #Thermodynamics #Optimism #Pessimism #Fatalism #Inevitabilism #Realism #HumanAgency #Inevitable #Alternative #Luddite #Technology #Millionaire #Billionaire #ScienceFiction #Predict #Contest #Challenge
#hope #imagination #humanrights #politics #literature #polycrisis #climateemergency #inequality #infrastructureneglect #authoritarianism #zoonoticplague #covid #thermodynamics #optimism #pessimism #fatalism #inevitabilism #realism #humanagency #inevitable #alternative #luddite #technology #millionaire #billionaire #sciencefiction #predict #contest #challenge
It's enough with the help sometimes. #comics #animalmeme #morning #pessimism #rabbit #squirrel
#comics #animalmeme #morning #pessimism #rabbit #squirrel
#Optimism and #pessimism are just #fatalism in fancy suits.
#optimism #pessimism #fatalism #contestation #sciencefiction #Polycrisis #wideninggyre
@sara_peltola @outi @vittorio_fossofino @KarjalaisenHoo Toivon kanssa pitkään painineena ja sitä kotisivujeni asiaan?-sivun lopussa ruumiinavailleena muistan nykyään mielelläni Ville Lähteen erinomaista suomennosta Mara van der Lugtin esseestä Katse kohti pimeää,, jossa hahmotellaan toiveikasta pessimismiä lähtien optimismin ja tavallisen toivon vastuuttomuudesta nykyajassa. Itse ehkä rehabilitoisisin epätoivonkin.
**Calculated crystals, kept here for reference:**
- - -
Diffraction record for Na3NbInSi2PO12. The X-ray diffraction stick pattern is calculated, not measured: it uses the PBE geometry in the Materials Project and Cu Kα.
Lines closer than 0.1° are merged.

Most intense lines, 10° ≤ 2θ ≤ 90°, sorted by position:
2theta  d/Å  I/Imax
19.3  4.591  98
19.4  4.574  100
30.8  2.905  81
30.9  2.895  42
33.9  2.641  84
53.0  1.729  36

Crystal structure
Unit cell a=9.1486 b=9.1486 c=9.1997 alpha=120.05 beta=120.05 gamma=60.01
Fractional coordinates of all 40 atoms:
Na (0.0529, 0.9471, 0.5000)
Na (0.3105, 0.8246, 0.2411)
Na (0.5581, 0.7243, 0.0086)
Na (0.7243, 0.5581, 0.5086)
Na (0.8246, 0.3105, 0.7411)
Na (0.9471, 0.0529, 0.0000)
Nb (0.4657, 0.9746, 0.6980)
Nb (0.9746, 0.4657, 0.1980)
In (0.1708, 0.6689, 0.8093)
In (0.6689, 0.1708, 0.3093)
Si (0.0743, 0.2762, 0.5059)
Si (0.2762, 0.0743, 0.0059)
Si (0.7771, 0.8700, 0.5137)
Si (0.8700, 0.7771, 0.0137)
P (0.3668, 0.5798, 0.5151)
P (0.5798, 0.3668, 0.0151)
O (0.0395, 0.3125, 0.3267)
O (0.0495, 0.7493, 0.9968)
O (0.0925, 0.2531, 0.0225)
O (0.0936, 0.4500, 0.6749)
O (0.1924, 0.5433, 0.3547)
O (0.2479, 0.9047, 0.9909)
O (0.2531, 0.0925, 0.5225)
O (0.3125, 0.0395, 0.8267)
O (0.3570, 0.6132, 0.6898)
O (0.3648, 0.7543, 0.5166)
O (0.4314, 0.5416, 0.9904)
O (0.4500, 0.0936, 0.1749)
O (0.5416, 0.4314, 0.4904)
O (0.5433, 0.1924, 0.8547)
O (0.5998, 0.8714, 0.5259)
O (0.6132, 0.3570, 0.1898)
O (0.6805, 0.8235, 0.8392)
O (0.7493, 0.0495, 0.4968)
O (0.7543, 0.3648, 0.0166)
O (0.8235, 0.6805, 0.3392)
O (0.8545, 0.9471, 0.1922)
O (0.8714, 0.5998, 0.0259)
O (0.9047, 0.2479, 0.4909)
O (0.9471, 0.8545, 0.6922)

Diffraction record for CeSe2. The X-ray diffraction stick pattern is calculated, not measured: it uses the PBE geometry in the Materials Project and Cu Kα.
Lines closer than 0.1° are merged.

Most intense lines, 10° ≤ 2θ ≤ 90°, sorted by position:
2theta  d/Å  I/Imax
22.1  4.030  100
31.7  2.827  34
36.1  2.489  75
37.0  2.429  38
38.5  2.340  37
43.5  2.080  63

Crystal structure
Unit cell a=6.8787 b=13.7185 c=7.2215 alpha=90.00 beta=90.00 gamma=90.00
Fractional coordinates of all 24 atoms:
Ce (0.2410, 0.1117, 0.0475)
Ce (0.2410, 0.3883, 0.5475)
Ce (0.2590, 0.6117, 0.0475)
Ce (0.2590, 0.8883, 0.5475)
Ce (0.7410, 0.1117, 0.4525)
Ce (0.7410, 0.3883, 0.9525)
Ce (0.7590, 0.6117, 0.4525)
Ce (0.7590, 0.8883, 0.9525)
Se (0.0000, 0.0277, 0.7414)
Se (0.0000, 0.4723, 0.2414)
Se (0.0000, 0.5277, 0.7586)
Se (0.0000, 0.9723, 0.2586)
Se (0.1269, 0.7107, 0.3757)
Se (0.1269, 0.7893, 0.8757)
Se (0.3731, 0.2107, 0.3757)
Se (0.3731, 0.2893, 0.8757)
Se (0.5000, 0.0277, 0.7586)
Se (0.5000, 0.4723, 0.2586)
Se (0.5000, 0.5277, 0.7414)
Se (0.5000, 0.9723, 0.2414)
Se (0.6269, 0.7107, 0.1243)
Se (0.6269, 0.7893, 0.6243)
Se (0.8731, 0.2107, 0.1243)
Se (0.8731, 0.2893, 0.6243)

Diffraction record for RbHF2. The X-ray diffraction stick pattern is calculated, not measured: it uses the PBE geometry in the Materials Project and Cu Kα.
Lines closer than 0.1° are merged.
- - -
**End of the calculated crystals:**
The pessimist complains about the wind; the optimist expects it to change; the realist adjusts the sails.
-- William Arthur Ward
#quotes #williamarthurward #optimism #pessimism #reality #photography #panorama #sand #tracks #iowa
«Stop Telling Kids They’ll Die From Climate Change.
Many young people feel like their future is in peril. To make progress on climate change, we must move past doomsday scenarios. […] We need a new message for climate change. One that drives action through optimism that things can be better.» ― Hannah Ritchie in #wired from 2021-11-01
#ClimateChange, #optimism, #pessimism, #doomsday, #nodoomsday, #MentalHealth
#wired #climatechange #optimism #pessimism #doomsday #nodoomsday #mentalhealth
The pessimist complains about the wind; the optimist expects it to change; the realist adjusts the sails.
-- William Arthur Ward
⬆ #Quotes #WilliamArthurWard #Optimism #Pessimism #Reality
⬇ #Photography #Panorama #LakePowell #SlickRock #Canyon #Utah
#quotes #williamarthurward #optimism #pessimism #reality #photography #panorama #lakepowell #slickrock #canyon #utah
Investors Seek Refuge in Cash as Recession Fears Mount, BOFA Survey Reveals - Investors, plagued by mounting pessimism, have sought refuge in cash, according to... - #bankofamericasurvey #flighttosafety #bankofamerica #opportunities #cashreserves #creditcrunch #fundmanagers #bofasurvey #economics #investors #pessimism #recession #sentiment #global #stocks #survey #bonds #bofa
#bofa #bonds #survey #stocks #global #sentiment #recession #pessimism #investors #economics #bofasurvey #fundmanagers #creditcrunch #cashreserves #opportunities #bankofamerica #flighttosafety #bankofamericasurvey
Can we assume that now, replete with the PM's glowing endorsement, #GuardianAustralia is about to change tack & henceforth begin approving new #FossilFool projects, funding the #FossilFool industry, making cruelly parsimonious miniscule adjustments to the entrenched #PovertyPayments of #NewStart, begin kicking peeps off #NDIS, flouting #FoI spirit & letter just like the previous arseholes, promulgating pure bullshit housing policies, yada yada ... all the while bleating constantly but dishonestly that they're "leaving no readers behind"? 🤷♀️ 😜
#cynicism #sarcasm #satire #auspol #pessimism #WeAreSelfishCruelBastards #WeAreTotallyFscked
#guardianaustralia #fossilfool #povertypayments #NewStart #NDIS #foi #cynicism #sarcasm #satire #auspol #pessimism #weareselfishcruelbastards #wearetotallyfscked
#Pessimism is wrong on just about everything. Neutral data says you should be #hopeful for the #future. Read #StevenPinker #Enlightenment now. The perfect medicine for #depression and #weltschmerz.
#pessimism #hopeful #future #stevenpinker #enlightenment #depression #weltschmerz
Tuosta laitoin pienen päivityksen kotisivujeni asiaan?-sivun loppuun, koska osui "liian hyvin". Tietysti valamiehistö on edelleen ulkona sen suhteen, kuinka väistämättömän pessimismin kanssa voi elää viisaasti, enkä peru toivon ruumiinavailuani. Säikäyttää kyllä välillä, kun silmiin hyppää jostain mainos, että "Toivo elää!".
#lupposofi #pessimism #hope #toivo